Comments 896

Re: Mark Cerny: I Hope Sony's Impact Will Match Nintendo's In Years To Come


Your nothing compared to Nintendo, yet. Nintendo themselves are a great gaming company, but they need to work on third party relations, Sony's first party isn't that bad, but nothing compared to Nintendo, but their third party is really good. So, yay, Sony isn't quite there, but ohh so close, their first party has definitely improved over the years.

Re: Ellen Page Doesn't Sound Too Pleased With The Last Of Us Likeness


I completely agree with her, her likeness is what actors and actresses have to sell, so in a way, they stole from her. I think Sony is going too much in a movie direction with their games as it is, but it is very obvious the character in game looks like her. There are tons of different looks they could have easy changed the character too. It's not like she's actually being a ***** about it

Re: Sony Tells GameStop to Open the Floodgates on PS4 Pre-orders


@get2sammyb I live in Canada, Xbox is, for some dumb reason, more popular than Playstation here, I've heard PS4 is selling more overall, but Xbox One is selling like hot cakes at my local store oO I'm getting a Wii U, but PS4 would hands down be my secondary console if I was to get one, not that horrible Microsoft Xbox One, bleh

Re: Sony Tells GameStop to Open the Floodgates on PS4 Pre-orders


Decent news, but my local GameStop has reported like 4 PS4 pre-orders and around 40 xbox one pre-orders so far, and the xbox one pre-orders are constantly going up. Yay, I don't get it either ¬¬ I might be for the Wii U personally, but I don't get Xbox One being more popular than PS4 Lots of people also think that the Xbox One being $100 more is because it's more powerful than the PS4.

Re: Talking Point: Has Microsoft's E3 2013 Showing Lessened Your Interest in the PS4?


What, that joke of a console? PLEASE, all Sony has to do is say "Where not pulling a Microsoft" than say "it'll be the same price in NA as the Xbox One, except in EUR and UK it will be cheaper" and they'll have all the Xbox/PS gamers wanting the system. Don't even need to show the system, just say those things, and PS4 has it made.

Personally, I'm still buying a Wii U, but I have confidence in PS4 being a big contender. I expect Microsoft to leave the console business after this generation.

@HeatBombastic Nope, nothing, Killer Instinct isn't that big of a deal to most. If they showed Battletoads, I would say yes, but they didn't.

Re: Another Analyst Reckons the PS4 Will Retail for Less Than $400


@Epic totally agree, these people are unrealistic with there pricing so far, cheapest I could see it being is probably $399.99. The PS3 didn't even have backwards, and this doesn't either, and have you seen the spec differences between PS3 and PS4?!? The PS4 only being $50-$75 more for what your getting is REALLY unrealistic.

If you want the top graphics, you'll probably spend the money for the system, me personally, I'm just looking for interactive and fun games (Wii U so far). I still play NES games, graphics have never meant much to me.

Re: Dragon's Dogma Braves the PlayStation Vita in New Freemium Quest


@Sanquine I probably would if I had more cash lol They had a deal on at my local store to trade in a vita or a old 3DS, get the 3DS XL and Luigi's Mansion for $50, so I took the offer. edit: I should mention the vita was a xmas gift, I didn't buy it

Vita as a console is a great achievement in portable, but the games so far haven't made the system worth purchasing Consider yourself luckier than me, you'll be enjoying both 3DS and Vita games in the future

Re: Pachter Reckons That the PS4's Bill of Materials Is Around $275


Pachters a moron, stop listening to him. Nintendo will do fine, Xbox brand will probably die this generation. Thinking the PS4 will only cost $349 is a joke for the specs it has, the eye will more than likely come with it, also. There, I said what I had to, go ahead and b***h about what I said, you know you want too

Re: Pachter Predicts That PS4 Will Cost $349, Will Sell Out At Launch


@ajay708 there is very lil reason to actually buy a Vita, your right. I had my Vita for about a year, and it's truly an amazing system, but the games don't seem to back up the awesome hardware. Also, the console price might be ok, but it compensates that with extremely expensive memory cards. So far, if you own a tablet/android device and a xbox 360/ps3, your basicly getting the same experience the vita offers Hopefully, Sony gets there act together when the PS4 comes out and makes the Vita a more valuable system to own.

Re: PS4 Developers Required to Support Vita Remote Play


Show me your actually gonna support it, than I'll be impressed. Like it's said in the article, Sony has a history of having these kinda things but not bringing it to its full potential. Sony already said before that we could remote play with PS3, and I think only two games support that, both remaster PS2 classics

Re: Square Enix Conjures First PS3 Footage of Final Fantasy XIV: A Realm Reborn


Such a small difference between PC and PS3. I'm actually interested in this title and will get it for my PS3, because I really really hate playing games with a keyboard and mouse lol If World of Warcraft was on PS3, I'd probably play that too, but since it's PC only, I played it a little and got sick of the stupid keyboard. Gonna be weird pay for a character fee and and monthly fee, I probably won't have more than the one character cause of it

/*
1.
This entry pairs a crystal structure of PmNd2SmTh with its simulated powder diffractogram. Radiation: Cu Ka. Structure: a DFT-relaxed cell (PBE, Alexandria).
Intensities are scaled so that the largest is 100.

The 6 most intense peaks (2θ = 10–90°), sorted by position:
- 2θ 29.7, rel. 56
- 2θ 30.5, rel. 100
- 2θ 31.6, rel. 35
- 2θ 34.8, rel. 23
- 2θ 35.0, rel. 31
- 2θ 35.7, rel. 24

Structure:
```
PmNd2SmTh
1.0
6.4270 0.0000 0.0000
0.0000 8.5022 0.0000
-1.6277 0.0000 6.4833
Pm Nd Sm Th
2 4 2 2
Direct
0.0000 0.1612 0.2500
0.0000 0.8388 0.7500
0.2858 0.1726 0.8439
0.2858 0.8274 0.3439
0.7142 0.1726 0.6561
0.7142 0.8274 0.1561
0.5000 0.4150 0.2500
0.5000 0.5850 0.7500
0.0000 0.5000 0.0000
0.0000 0.5000 0.5000
```



2.
This entry pairs a crystal structure of NbCuSe2 with its simulated powder diffractogram. Radiation: Cu Ka. Structure: a DFT-relaxed cell (PBE, Alexandria).
Intensities are scaled so that the largest is 100.

The 6 most intense peaks (2θ = 10–90°), sorted by position:
- 2θ 12.7, rel. 17
- 2θ 28.9, rel. 66
- 2θ 34.8, rel. 59
- 2θ 43.7, rel. 100
- 2θ 51.1, rel. 52
- 2θ 69.5, rel. 24

Structure:
```
NbCuSe2
1.0
3.5729 0.0000 0.0000
-1.7865 3.0943 0.0000
0.0000 0.0000 13.9325
Nb Cu Se
2 2 4
Direct
0.3333 0.6667 0.0000
0.6667 0.3333 0.5000
0.3333 0.6667 0.2154
0.6667 0.3333 0.7154
0.3333 0.6667 0.3831
0.3333 0.6667 0.6213
0.6667 0.3333 0.1213
0.6667 0.3333 0.8831
```



3.
This entry pairs a crystal structure of CsLiMnCl6 with its simulated powder diffractogram. Radiation: Cu Ka. Structure: a DFT-relaxed cell (PBE, Alexandria).
Intensities are scaled so that the largest is 100.

The 6 most intense peaks (2θ = 10–90°), sorted by position:
- 2θ 15.9, rel. 23
- 2θ 19.6, rel. 100
- 2θ 28.1, rel. 17
- 2θ 30.1, rel. 37
- 2θ 36.3, rel. 48
- 2θ 44.6, rel. 21

Structure:
```
CsLiMnCl6
1.0
6.4317 0.0000 0.0000
-3.2159 5.5700 0.0000
0.0000 0.0000 7.7465
Cs Li Mn Cl
1 1 1 6
Direct
0.0000 0.0000 0.0000
0.3333 0.6667 0.5000
0.6667 0.3333 0.5000
0.3873 0.0326 0.6715
0.3873 0.3548 0.3285
0.6452 0.0326 0.3285
0.6452 0.6127 0.6715
0.9674 0.3548 0.6715
0.9674 0.6127 0.3285
```



4.
This entry pairs a crystal structure of LaAl3Ge3 with its simulated powder diffractogram. Radiation: Cu Ka. Structure: a DFT-relaxed cell (PBE, Alexandria).
Intensities are scaled so that the largest is 100.

The 6 most intense peaks (2θ = 10–90°), sorted by position:
- 2θ 14.6, rel. 18
- 2θ 27.4, rel. 100
- 2θ 35.0, rel. 69
- 2θ 43.0, rel. 58
- 2θ 45.2, rel. 34
- 2θ 56.6, rel. 17

Structure:
```
LaAl3Ge3
1.0
3.6462 2.1051 7.1989
-3.6462 2.1051 7.1989
0.0000 -4.2103 7.1989
La Al Ge
2 6 6
Direct
0.1663 0.1663 0.1663
0.8337 0.8337 0.8337
0.0376 0.7145 0.3756
0.2855 0.6244 0.9624
0.3756 0.0376 0.7145
0.6244 0.9624 0.2855
0.7145 0.3756 0.0376
0.9624 0.2855 0.6244
0.0908 0.4141 0.7381
0.2619 0.9092 0.5859
0.4141 0.7381 0.0908
0.5859 0.2619 0.9092
0.7381 0.0908 0.4141
0.9092 0.5859 0.2619
```



5.
*/

Re: Rayman Legends Leaps onto PlayStation Vita with Exclusive Content


YES! Now that's a announcement I was looking forward too! Thanks Sony, I wanted reasons to keep my Vita Now I need to definitely pre-order it, I have the original for Vita as well, awesome game.

@Placlu I use to get systems at launch but have learned to wait a year or two in order to make a much better decision with my hard earned money, especially since these consoles aren't cheap anymore. As for the exclusive, I'm happy it's coming to the Vita, but your right, I wanted a Wii U for Rayman Legends, now I still have no real reason to buy a Wii U, cause I already have systems that play the games there getting (and not getting).

Calculated crystals from another source follow:
<<<
1.
For MgCo4Te8O20, the PBE+U geometry in the Materials Project gives the simulated X-ray powder pattern in this record (Cu Kα (λ = 1.5418 Å)).

Largest 10 diffraction maxima, in order of rising 2θ, 2θ from 15° to 90°:
| 2θ/deg | I/Imax |
| --- | --- |
| 24.6 | 89 |
| 25.1 | 100 |
| 27.7 | 42 |
| 28.3 | 68 |
| 29.2 | 53 |
| 31.7 | 25 |
| 33.6 | 22 |
| 36.6 | 24 |
| 51.0 | 22 |
| 51.5 | 32 |

Atomic structure:
Cell: 6.2634 10.6662 7.5791 Å, 90.00 92.15 90.00°
Fractional positions:
Mg 0.0000 0.0000 0.0000
Co 0.0000 0.2369 0.5000
Co 0.0000 0.7303 0.0000
Co 0.5000 0.3589 0.5000
Co 0.5000 0.8712 0.0000
Te 0.2323 0.4570 0.8668
Te 0.2437 0.9605 0.6377
Te 0.2642 0.6482 0.3609
Te 0.2898 0.1728 0.1572
Te 0.7102 0.1728 0.8428
Te 0.7358 0.6482 0.6391
Te 0.7563 0.9605 0.3623
Te 0.7677 0.4570 0.1332
O 0.0000 0.3678 0.0000
O 0.0000 0.8703 0.5000
O 0.0552 0.5994 0.8088
O 0.0738 0.0973 0.7008
O 0.1810 0.8777 0.8635
O 0.1917 0.3702 0.6530
O 0.3029 0.7420 0.1492
O 0.3037 0.2137 0.4066
O 0.4254 0.5029 0.3086
O 0.4752 0.0223 0.1848
O 0.5000 0.2634 0.0000
O 0.5000 0.7396 0.5000
O 0.5248 0.0223 0.8152
O 0.5746 0.5029 0.6914
O 0.6963 0.2137 0.5934
O 0.6971 0.7420 0.8508
O 0.8083 0.3702 0.3470
O 0.8190 0.8777 0.1365
O 0.9262 0.0973 0.2992
O 0.9448 0.5994 0.1912



2.
For MgCo3TeO8, the PBE+U geometry in the Materials Project gives the simulated X-ray powder pattern in this record (Cu Kα (λ = 1.5418 Å)).

Largest 10 diffraction maxima, in order of rising 2θ, 2θ from 15° to 90°:
| 2θ/deg | I/Imax |
| --- | --- |
| 17.9 | 76 |
| 18.3 | 100 |
| 21.0 | 19 |
| 34.9 | 44 |
| 35.5 | 17 |
| 37.2 | 23 |
| 42.4 | 39 |
| 42.8 | 74 |
| 61.8 | 21 |
| 62.0 | 22 |

Atomic structure:
Cell: 5.9931 5.9931 6.0732 Å, 120.31 120.31 58.69°
Fractional positions:
Mg 0.0000 0.0000 0.0000
Co 0.0000 0.5000 0.0000
Co 0.5000 0.0000 0.0000
Co 0.5000 0.5000 0.0000
Te 0.5000 0.5000 0.5000
O 0.2619 0.7251 0.2547
O 0.2627 0.2627 0.8150
O 0.2641 0.2641 0.2538
O 0.2749 0.7381 0.7453
O 0.7251 0.2619 0.2547
O 0.7359 0.7359 0.7462
O 0.7373 0.7373 0.1850
O 0.7381 0.2749 0.7453



3.
For Mg4Co5Te3O18, the PBE+U geometry in the Materials Project gives the simulated X-ray powder pattern in this record (Cu Kα (λ = 1.5418 Å)).

Largest 10 diffraction maxima, in order of rising 2θ, 2θ from 15° to 90°:
| 2θ/deg | I/Imax |
| --- | --- |
| 20.1 | 37 |
| 20.4 | 100 |
| 21.5 | 33 |
| 28.1 | 36 |
| 29.5 | 69 |
| 34.7 | 34 |
| 35.0 | 58 |
| 35.1 | 25 |
| 47.4 | 27 |
| 54.5 | 37 |

Atomic structure:
Cell: 8.7410 8.7410 10.4954 Å, 94.10 94.10 61.39°
Fractional positions:
Mg 0.1325 0.8216 0.9587
Mg 0.1599 0.4338 0.0743
Mg 0.1784 0.8675 0.5413
Mg 0.4338 0.1599 0.5743
Mg 0.5662 0.8401 0.4257
Mg 0.8216 0.1325 0.4587
Mg 0.8401 0.5662 0.9257
Mg 0.8675 0.1784 0.0413
Co 0.0387 0.6274 0.4434
Co 0.2063 0.5121 0.7302
Co 0.3167 0.6833 0.2500
Co 0.3726 0.9613 0.0566
Co 0.4879 0.7937 0.7698
Co 0.5121 0.2063 0.2302
Co 0.6274 0.0387 0.9434
Co 0.6833 0.3167 0.7500
Co 0.7937 0.4879 0.2698
Co 0.9613 0.3726 0.5566
Te 0.1556 0.1666 0.8024
>>>

Re: Bungie Lays Down the Law in New Destiny Trailer, First PS4 Footage at E3


Bungie making a game for PS3/PS4 is a huge attention grabber from the Halo Xbox crowd, especially from people in NA. I can't wait to buy this game, it's gonna be couch co-op right? I hope so..

Made by the halo peoples and published by call of duty guys? Wow, Sony is really riding on the Call of Duty/Halo nuts to come over lol

Re: Sony's Share Prices Soar Following the Xbox One Reveal


Sony's stock rose like almost 10%, and Nintendo's rose 2.2%, or something around those lines, know why? Cause that Xbox reveal was sad and pathetic, and everybody BUT Microsoft knows it Remember the Zune? Xbox One will probably follow it its footsteps

Re: Reaction: PS4 vs. Xbox One - Moving in Different Directions


I know alil kid that great at art that could make a better system and controller design in about 10 minutes ¬¬ Seriously, PS4 and Wii U is where it's at, that xbox looks freakin; ugly And the features, especially the kinect needing to be plugged in to play the system, and the games needing to have a fee for used games, makes me hate this stupid machine. I hope Sony and Nintendo NEVER follow in Microsoft's footsteps.

Re: Talking Point: How Has Xbox One's Reveal Affected Your Anticipation for PS4?


terrible name, ugly controller and system look, having to install the games on the hdd defeats the purpose of discs, fee to pay just for used games OR borrowing a friends game,no touchpad/screen on the controller, no backwards with 360, colour me unimpressed. This was almost a complete joke.

I have a feeling Wii U is where my loyalty will be at, maybe PS4. Least PS4 controller was more impressive looking than "the ones" stupid remake on the 360 controller.

Re: Here's Your First, Blurry Look at the Actual PlayStation 4 Console


so far it looks like the PS3 in design, which is basicly what I figured it would Can't wait for June 10th, but I'm not really excited to see the console, it's just the console We already know the power it has and that, and seen some of the games, so I still think the next reveal will overshadow this, unfortunately.

Re: Sony Suggests Vita Sales Forecast May Be a Worst Case Scenario

What comes next are data records, not part of the article =
- - -
The following is a computed X-ray diffraction stick pattern of BaNdBiI. It was derived from a DFT-relaxed cell (PBE, Alexandria), using Cu Kα (λ = 1.5418 Å).
Kinematic intensities with the Lorentz-polarization factor, no thermal factor.

The 12 most intense peaks (2θ = 15–90°), low angle first:
Position (°2θ), I (rel.)
20.05, 21.9
21.07, 51.4
23.65, 32.5
27.20, 98.5
31.40, 29.8
34.47, 100.0
37.71, 43.6
44.45, 26.0
52.00, 19.8
57.43, 24.3
59.79, 19.1
63.89, 20.3

Atomic structure:
```
BaNdBiI
1.0
2.6022 1.5024 15.9310
-2.6022 1.5024 15.9310
0.0000 -3.0048 15.9310
Ba Nd Bi I
2 2 2 2
Direct
0.0935 0.0935 0.0935
0.9065 0.9065 0.9065
0.3098 0.3098 0.3098
0.6902 0.6902 0.6902
0.3815 0.3815 0.3815
0.6185 0.6185 0.6185
0.2035 0.2035 0.2035
0.7965 0.7965 0.7965
```

***

The following is a computed X-ray diffraction stick pattern of BaBi2I2O2. It was derived from a DFT-relaxed cell (PBE, Alexandria), using Cu Kα (λ = 1.5418 Å).
Kinematic intensities with the Lorentz-polarization factor, no thermal factor.

The 12 most intense peaks (2θ = 15–90°), low angle first:
Position (°2θ), I (rel.)
27.66, 100.0
30.51, 42.9
32.60, 6.9
38.30, 14.0
43.68, 19.1
47.05, 14.6
52.49, 35.1
59.46, 15.9
70.61, 7.5
72.07, 7.7
86.83, 8.8
89.82, 7.0

Atomic structure:
```
BaBi2I2O2
1.0
-2.0721 2.0721 12.8401
2.0721 -2.0721 12.8401
2.0721 2.0721 -12.8401
Ba Bi I O
1 2 2 2
Direct
0.0000 0.0000 0.0000
0.3752 0.3752 0.0000
0.7829 0.7829 0.0000
0.2098 0.2098 0.0000
0.5719 0.5719 0.0000
0.3292 0.8292 0.5000
0.8292 0.3292 0.5000
```

***

The following is a computed X-ray diffraction stick pattern of BaBi2I2O2. It was derived from a DFT-relaxed cell (PBE, Alexandria), using Cu Kα (λ = 1.5418 Å).
Kinematic intensities with the Lorentz-polarization factor, no thermal factor.

The 12 most intense peaks (2θ = 15–90°), low angle first:
Position (°2θ), I (rel.)
23.64, 83.6
28.11, 100.0
30.87, 22.9
32.00, 44.2
33.39, 87.6
35.68, 20.0
36.61, 99.0
46.11, 36.6
47.94, 37.5
56.50, 29.2
61.80, 62.0
88.13, 19.4

Atomic structure:
```
BaBi2I2O2
1.0
-1.8977 1.8977 14.4810
1.8977 -1.8977 14.4810
1.8977 1.8977 -14.4810
Ba Bi I O
1 2 2 2
Direct
0.0000 0.0000 0.0000
0.1155 0.1155 0.0000
0.8845 0.8845 0.0000
0.3140 0.3140 0.0000
0.6860 0.6860 0.0000
0.0616 0.5616 0.5000
0.4384 0.9384 0.5000
```

***

The following is a computed X-ray diffraction stick pattern of BaBi2I2O2. It was derived from a DFT-relaxed cell (PBE, Alexandria), using Cu Kα (λ = 1.5418 Å).
Kinematic intensities with the Lorentz-polarization factor, no thermal factor.

The 12 most intense peaks (2θ = 15–90°), low angle first:
Position (°2θ), I (rel.)
26.05, 100.0
29.50, 15.3
30.77, 79.4
37.17, 47.2
39.75, 23.0
48.14, 18.4
49.00, 43.8
53.58, 16.4
59.11, 18.7
60.52, 19.9
63.04, 14.8
71.92, 21.2

Atomic structure:
```
BaBi2I2O2
1.0
-2.4190 2.4190 9.0837
2.4190 -2.4190 9.0837
2.4190 2.4190 -9.0837
Ba Bi I O
1 2 2 2
Direct
0.0000 0.0000 0.0000
0.3656 0.3656 0.0000
0.8165 0.8165 0.0000
0.1985 0.1985 0.0000
0.5549 0.5549 0.0000
- - -


I have lots of hope for the Vita, and I think people will start getting the Vita when the PS4 shows it's Vita functions. As for games, they are coming, just very slow compared to what PlayStation fans are use too. I can't wait for Walking Dead Season One, Jak and Daxter Collection, Muramasa Rebirth, the new Y's game, Vahalla Knight 3, Killzone, Tearaway etc. so to say there is nothing for games at this point makes people sound foolish.

Re: Sony Will Do 'Whatever It Takes' to Release the PS4 in Europe This Year


I hope it gets back alot more of the North American crowd, and I think it will. I know alot of people that went for the 360 because it was something new, and the red ring of death really hurt peoples opinion of the 360. I use to own a 360 at first, and it died, so I was a late adopter to the PS3, but I don't think I could own another Xbox system, they keep dieing on me for some reason :s

Re: Talking Point: Sony Must Solve the PlayStation Vita's Memory Woes


@get2sammyb yup, I don't download anything off the PSN store for my Vita because of the memory problem. I got PS All-Stars as a download with the PS3 copy, and the file for PS All-Stars is over 3gb, almost 4gb, with the updates that they had, so naturally, I NEVER play this game. I think there PSN store sales would go up, and the cross-buy feature would make more sense if they just lowered the prices of the memory cards

Re: inFAMOUS: Second Son Was Planned for PS4 Way Back in 2010


so many great reasons to get a PlayStation 4 at launch love how suckerpunch had this planned 3 years ago, and the touchpad use does sound good so far, I still prefer classic controls so small touchpad functions is probably a great way to start. I can't wait, Knack, killzone, and others, Sony is really bringing there A game.